[1]
{"formula": "C38H28IMnN2O2S", "method": "ωB97M-V/def2-TZVPD", "s2": 8.93, "homo_energy_ev": [-1.70, -4.73], "spin_multiplicity": 6, "largest_force_ev_per_a": 1.88, "e_tot_ha": -3571.8452, "total_charge": -1, "species": ["Mn", "I", "C", "C", "C", "C", "C", "C", "C", "C", "C", "C", "H", "H", "H", "H", "H", "H", "S", "C", "C", "C", "C", "C", "C", "N", "C", "C", "C", "C", "C", "C", "C", "H", "H", "H", "H", "H", "H", "H", "H", "C", "C", "C", "C", "C", "C", "N", "C", "C", "C", "C", "C", "C", "C", "O", "O", "C", "C", "H", "H", "H", "H", "H", "H", "H", "H", "H", "H", "H", "H", "H", "H"], "coordinates": [[-0.535, 1.519, 0.834], [-2.103, 2.719, -1.246], [-1.585, 4.582, -0.230], [-1.959, 5.731, -0.880], [-1.624, 6.967, -0.331], [-0.928, 7.019, 0.850], [-0.540, 5.843, 1.526], [0.196, 5.903, 2.723], [0.577, 4.751, 3.364], [0.238, 3.503, 2.838], [-0.475, 3.365, 1.652], [-0.871, 4.560, 0.986], [-2.503, 5.667, -1.809], [-1.915, 7.869, -0.848], [-0.662, 7.972, 1.285], [0.452, 6.871, 3.134], [1.147, 4.806, 4.282], [0.544, 2.615, 3.386], [-0.446, -2.087, 3.856], [1.169, -2.094, 3.187], [2.181, -2.994, 3.415], [3.396, -2.809, 2.764], [3.576, -1.738, 1.898], [2.566, -0.833, 1.657], [1.332, -0.995, 2.303], [0.246, -0.210, 2.165], [-0.799, -0.648, 2.878], [-2.059, -0.016, 2.838], [-3.128, -0.479, 3.624], [-4.339, 0.172, 3.613], [-4.510, 1.285, 2.803], [-3.457, 1.739, 2.009], [-2.212, 1.124, 1.979], [2.038, -3.828, 4.087], [4.201, -3.505, 2.939], [4.525, -1.614, 1.395], [2.710, -0.004, 0.979], [-2.966, -1.351, 4.247], [-5.145, -0.177, 4.247], [-5.458, 1.804, 2.788], [-3.647, 2.614, 1.401], [-1.678, -4.742, -4.471], [-0.896, -4.585, -3.199], [-0.866, -5.633, -2.289], [-0.222, -5.498, -1.072], [0.430, -4.322, -0.775], [0.445, -3.272, -1.693], [1.104, -2.104, -1.312], [1.831, -1.263, -2.110], [2.619, -1.770, -3.150], [3.463, -0.940, -3.858], [3.567, 0.406, -3.534], [2.777, 0.929, -2.528], [1.889, 0.117, -1.831], [0.901, 0.707, -0.887], [-0.179, 0.088, -0.684], [1.120, 1.821, -0.343], [-0.251, -3.382, -2.905], [-0.353, -2.208, -3.834], [-2.006, -5.772, -4.589], [-1.079, -4.462, -5.336], [-2.560, -4.100, -4.449], [-1.375, -6.556, -2.533], [-0.229, -6.311, -0.361], [0.941, -4.200, 0.168], [0.792, -1.718, -0.430], [2.570, -2.826, -3.371], [4.074, -1.348, -4.653], [4.251, 1.044, -4.076], [2.830, 1.980, -2.276], [0.429, -2.231, -4.597], [-0.248, -1.279, -3.277], [-1.318, -2.189, -4.334]]}

[2]
Could you set down the whole of the notes earlier on verbatim?
[1]
{"formula": "C38H28IMnN2O2S", "method": "ωB97M-V/def2-TZVPD", "s2": 8.93, "homo_energy_ev": [-1.70, -4.73], "spin_multiplicity": 6, "largest_force_ev_per_a": 1.88, "e_tot_ha": -3571.8452, "total_charge": -1, "species": ["Mn", "I", "C", "C", "C", "C", "C", "C", "C", "C", "C", "C", "H", "H", "H", "H", "H", "H", "S", "C", "C", "C", "C", "C", "C", "N", "C", "C", "C", "C", "C", "C", "C", "H", "H", "H", "H", "H", "H", "H", "H", "C", "C", "C", "C", "C", "C", "N", "C", "C", "C", "C", "C", "C", "C", "O", "O", "C", "C", "H", "H", "H", "H", "H", "H", "H", "H", "H", "H", "H", "H", "H", "H"], "coordinates": [[-0.535, 1.519, 0.834], [-2.103, 2.719, -1.246], [-1.585, 4.582, -0.230], [-1.959, 5.731, -0.880], [-1.624, 6.967, -0.331], [-0.928, 7.019, 0.850], [-0.540, 5.843, 1.526], [0.196, 5.903, 2.723], [0.577, 4.751, 3.364], [0.238, 3.503, 2.838], [-0.475, 3.365, 1.652], [-0.871, 4.560, 0.986], [-2.503, 5.667, -1.809], [-1.915, 7.869, -0.848], [-0.662, 7.972, 1.285], [0.452, 6.871, 3.134], [1.147, 4.806, 4.282], [0.544, 2.615, 3.386], [-0.446, -2.087, 3.856], [1.169, -2.094, 3.187], [2.181, -2.994, 3.415], [3.396, -2.809, 2.764], [3.576, -1.738, 1.898], [2.566, -0.833, 1.657], [1.332, -0.995, 2.303], [0.246, -0.210, 2.165], [-0.799, -0.648, 2.878], [-2.059, -0.016, 2.838], [-3.128, -0.479, 3.624], [-4.339, 0.172, 3.613], [-4.510, 1.285, 2.803], [-3.457, 1.739, 2.009], [-2.212, 1.124, 1.979], [2.038, -3.828, 4.087], [4.201, -3.505, 2.939], [4.525, -1.614, 1.395], [2.710, -0.004, 0.979], [-2.966, -1.351, 4.247], [-5.145, -0.177, 4.247], [-5.458, 1.804, 2.788], [-3.647, 2.614, 1.401], [-1.678, -4.742, -4.471], [-0.896, -4.585, -3.199], [-0.866, -5.633, -2.289], [-0.222, -5.498, -1.072], [0.430, -4.322, -0.775], [0.445, -3.272, -1.693], [1.104, -2.104, -1.312], [1.831, -1.263, -2.110], [2.619, -1.770, -3.150], [3.463, -0.940, -3.858], [3.567, 0.406, -3.534], [2.777, 0.929, -2.528], [1.889, 0.117, -1.831], [0.901, 0.707, -0.887], [-0.179, 0.088, -0.684], [1.120, 1.821, -0.343], [-0.251, -3.382, -2.905], [-0.353, -2.208, -3.834], [-2.006, -5.772, -4.589], [-1.079, -4.462, -5.336], [-2.560, -4.100, -4.449], [-1.375, -6.556, -2.533], [-0.229, -6.311, -0.361], [0.941, -4.200, 0.168], [0.792, -1.718, -0.430], [2.570, -2.826, -3.371], [4.074, -1.348, -4.653], [4.251, 1.044, -4.076], [2.830, 1.980, -2.276], [0.429, -2.231, -4.597], [-0.248, -1.279, -3.277], [-1.318, -2.189, -4.334]]}

[2]